Input >
┌──
Density functional theory data (wB97M-V/def2-TZVPD) for a structure of composition C11H22ORhS4.

Geometry as XYZ:
```
39
Properties=species:S:1:pos:R:3
Rh 0.02242 0.13319 -0.73484
C -2.61743 2.08150 -0.56437
C -1.44878 2.92284 -0.06187
S 0.00000 2.52102 -1.08792
C 1.45924 2.92225 -0.07373
C 2.60987 2.07304 -0.60927
S 2.34381 0.26345 -0.50569
C 2.60629 -0.00958 1.29397
C 1.43744 -0.69300 1.99235
S -0.01208 0.39951 1.93804
C -1.42945 -0.73541 1.96929
C -2.60990 -0.06590 1.27253
S -2.34262 0.27296 -0.51379
H -2.83546 2.30143 -1.61035
H -3.52095 2.29459 0.00666
H -1.21546 2.70127 0.97976
H -1.69459 3.98032 -0.15607
H 1.23427 2.68039 0.96558
H 1.71199 3.97918 -0.14969
H 3.54353 2.30719 -0.09809
H 2.76465 2.26238 -1.67290
H 2.82634 0.95864 1.74573
H 3.49942 -0.62694 1.38302
H 1.70712 -0.91882 3.02348
H 1.18498 -1.61440 1.46879
H -1.70533 -0.98918 2.99218
H -1.14461 -1.64176 1.43493
H -2.85314 0.88525 1.74787
H -3.49084 -0.70304 1.33738
C 0.72443 -3.99107 -1.11621
O 0.74368 -2.60460 -0.72124
C -0.01846 -1.68138 -1.28987
C -0.79790 -2.09885 -2.49797
H 1.22023 -4.11662 -2.07789
H -0.29129 -4.37595 -1.16102
H 1.27739 -4.51862 -0.34537
H -1.23572 -3.09706 -2.44715
H -0.08470 -2.08782 -3.32994
H -1.56840 -1.37040 -2.72635
```

Output
E_HOMO (alpha / beta) ... -9.89 / -9.89 eV
2S+1 ... 1
Calculated total energy ... -2210.64052 Eh
LUMO (alpha / beta) ... -2.25 / -2.25 eV
Charge ... +1

* * * * *

Entry 1:
98
Properties=species:S:1:pos:R:3:forces:R:3:lowdin_charge:R:1 method="wB97M-V/def2-TZVPD" molar_mass_g_mol=948.7 e_tot_ev=-121962.71528 homo_lumo_gap_ev="6.3133 / 6.3127" relative_energy_kj_mol=0.0 homo_energy_ev="-15.4 / -15.4" charge=+3
Re -0.07459 -0.44175 0.49765 -1.255 0.245 0.688 1.2982
C -0.09777 5.76726 2.32376 -0.003 0.008 -0.002 -0.0360
C 0.54043 4.98654 3.27548 0.001 -0.037 -0.004 -0.0386
C 0.89648 3.67591 2.97947 -0.053 0.064 0.022 -0.0641
C 0.60442 3.15508 1.72185 -0.067 -0.019 0.045 -0.3477
C -0.02265 3.94859 0.75791 0.062 0.061 0.004 -0.1083
C -0.37336 5.25193 1.06029 -0.002 -0.020 0.001 -0.0481
P 1.12646 1.51250 1.23622 0.064 -0.391 0.089 1.0265
C 1.80389 0.60967 2.64720 0.049 -0.001 0.026 -0.3719
C 3.00589 -0.08783 2.53298 0.024 0.019 0.023 -0.0767
C 3.43901 -0.89743 3.57732 -0.029 0.020 -0.022 -0.0515
C 2.67737 -1.00750 4.72986 -0.022 0.005 0.018 -0.0371
C 1.47679 -0.30750 4.85220 0.021 -0.028 -0.015 -0.0483
C 1.03295 0.48783 3.81311 0.044 0.010 -0.016 -0.1238
C 2.39738 1.68191 -0.00615 -0.033 0.099 -0.102 -0.3197
C 3.40115 2.61519 0.02069 0.107 0.019 -0.059 -0.0271
C 4.31170 2.70030 -1.05465 -0.049 0.000 0.086 -0.0255
C 4.14659 1.90061 -2.15083 -0.024 -0.037 -0.041 0.0108
C 3.08149 0.96467 -2.22451 0.066 0.004 -0.053 -0.1574
C 2.82924 0.21122 -3.39821 0.052 0.049 0.033 0.0038
C 1.74459 -0.62123 -3.46887 -0.109 -0.061 0.056 -0.0537
C 0.90771 -0.78615 -2.34423 0.168 0.055 -0.203 -0.1558
C 1.12924 -0.12207 -1.15279 -0.201 -0.069 0.086 -0.3027
C 2.21234 0.82229 -1.11669 0.004 -0.019 -0.155 -0.2162
H -0.37053 6.78741 2.56007 0.004 -0.009 -0.007 0.1233
H 0.77182 5.39771 4.24882 -0.002 -0.004 -0.005 0.1224
H 1.40920 3.08022 3.72305 -0.001 0.013 -0.007 0.1055
H -0.21263 3.55537 -0.23553 0.000 0.012 0.012 0.0912
H -0.85236 5.87213 0.31408 0.007 -0.001 0.005 0.1194
H 3.61368 0.02946 1.64310 0.006 -0.009 0.007 0.1058
H 4.38326 -1.42107 3.50186 -0.005 0.005 -0.005 0.1174
H 3.02404 -1.62621 5.54739 -0.005 0.010 -0.002 0.1228
H 0.89624 -0.38314 5.76267 0.014 0.008 -0.005 0.1228
H 0.09284 1.02326 3.90348 0.000 -0.017 -0.007 0.1131
H 3.49593 3.29561 0.85945 0.002 0.002 -0.011 0.1280
H 5.11922 3.41870 -1.01902 -0.012 0.003 0.004 0.1243
H 4.81843 1.99212 -2.99603 -0.004 -0.005 0.009 0.1308
H 3.48620 0.33076 -4.25196 -0.005 0.002 0.018 0.1303
H 1.52712 -1.15553 -4.38563 0.002 0.013 0.008 0.1184
H 0.06065 -1.46129 -2.43125 0.021 -0.029 0.013 0.0924
C 3.64894 -2.64764 -0.36842 -0.061 -0.082 -0.069 0.0317
N 3.01894 -3.83404 -1.02629 0.013 -0.005 0.106 -0.1554
C 3.61804 -5.10936 -0.51729 -0.027 0.107 -0.053 0.0270
└──

What to do >
Echo the part of the block above that starts with the line with "-1.61035" and stops after the one with "1.12646 1.51250".

Here it is >
H -2.83546 2.30143 -1.61035
H -3.52095 2.29459 0.00666
H -1.21546 2.70127 0.97976
H -1.69459 3.98032 -0.15607
H 1.23427 2.68039 0.96558
H 1.71199 3.97918 -0.14969
H 3.54353 2.30719 -0.09809
H 2.76465 2.26238 -1.67290
H 2.82634 0.95864 1.74573
H 3.49942 -0.62694 1.38302
H 1.70712 -0.91882 3.02348
H 1.18498 -1.61440 1.46879
H -1.70533 -0.98918 2.99218
H -1.14461 -1.64176 1.43493
H -2.85314 0.88525 1.74787
H -3.49084 -0.70304 1.33738
C 0.72443 -3.99107 -1.11621
O 0.74368 -2.60460 -0.72124
C -0.01846 -1.68138 -1.28987
C -0.79790 -2.09885 -2.49797
H 1.22023 -4.11662 -2.07789
H -0.29129 -4.37595 -1.16102
H 1.27739 -4.51862 -0.34537
H -1.23572 -3.09706 -2.44715
H -0.08470 -2.08782 -3.32994
H -1.56840 -1.37040 -2.72635
```

Output
E_HOMO (alpha / beta) ... -9.89 / -9.89 eV
2S+1 ... 1
Calculated total energy ... -2210.64052 Eh
LUMO (alpha / beta) ... -2.25 / -2.25 eV
Charge ... +1

* * * * *

Entry 1:
98
Properties=species:S:1:pos:R:3:forces:R:3:lowdin_charge:R:1 method="wB97M-V/def2-TZVPD" molar_mass_g_mol=948.7 e_tot_ev=-121962.71528 homo_lumo_gap_ev="6.3133 / 6.3127" relative_energy_kj_mol=0.0 homo_energy_ev="-15.4 / -15.4" charge=+3
Re -0.07459 -0.44175 0.49765 -1.255 0.245 0.688 1.2982
C -0.09777 5.76726 2.32376 -0.003 0.008 -0.002 -0.0360
C 0.54043 4.98654 3.27548 0.001 -0.037 -0.004 -0.0386
C 0.89648 3.67591 2.97947 -0.053 0.064 0.022 -0.0641
C 0.60442 3.15508 1.72185 -0.067 -0.019 0.045 -0.3477
C -0.02265 3.94859 0.75791 0.062 0.061 0.004 -0.1083
C -0.37336 5.25193 1.06029 -0.002 -0.020 0.001 -0.0481
P 1.12646 1.51250 1.23622 0.064 -0.391 0.089 1.0265